Sunday, January 3, 2010

Superiority of Mind

Sometimes, as I lay awake desperately trying to sleep, I reminisce about things that have happened in my life. I have a really great memory...I can recall the exact conversation I had with someone in the 2nd grade and experiences from preschool (It is neat, don't get me wrong, but it can be a curse...I always remember the stupid, mean, petty, or embarrassing things I said or did to people). Tonight as I was trying to drift off into dreamland, I thought a lot about high school and the reasons why I loved and hated it. One topic got stuck in my mind--people who think they are superior to others.

What makes someone think that they are better than someone else? I'm sure it has happened to everyone at some point and on both ends--everyone has felt like they are better than some other person, and everyone has felt inferior to another. I'm guilty of it. I can recall a lot of times where I genuinely thought I was a better person than somebody else. I can also remember so many horrible times when I felt inferior to someone else.

In Pride & Prejudice, my favorite book, there is a line during a conversation between Elizabeth and Mr. Darcy. Darcy says "Yes, vanity is a weakness indeed. But pride-where there is real superiority of mind-pride will always be under good regulation." This line always kind of bothered me. What is a "REAL" superiority of mind? Don't most people think they are superior because of pride?

I honestly think it all comes down to intolerance. People in this world are so willing to judge others because they don't look or act the same or because they believe something different. Look at all of the religious intolerance on this Earth. There are still people suffering from religious persecution in countries all over the world. I see so much judgement here in my glorious little state of Utah. I am LDS and proud to be. And I have been blessed with very tolerant and non-judgemental parents. My best friend in elementary school was not a member, and that didn't matter to us. But I had so many friends who couldn't play with others because they weren't members. It goes on the other end many members out there have been judged because they are LDS? There have been times in college where I have felt judged by someone who wasn't of my same faith just because I am LDS.

On a daily basis, I feel like I am looked down upon by people because of my weight. I am not a size 2. I am proud to say that I am a 14. I'm not ashamed of it. And neither should the majority of the women in America because they are the "Average Size". I don't look my nose down on girls who are skinny...why do they think they can look down on me for not being skinny?

I think the majority of the problems in this world are caused by intolerance. Think of how much happier the whole world would be if we all just joined hands, sang Kumbaya, and drank hot chocolate together. Sounds good to me...


Heather said...

Have you taken any Sociology classes? If not, I really think you should. I think would greatly enjoy them and be great at them!

Natalie Marie said...

You are fabulous!! I agree.. Kumbaya.. I love you!

Merinda said...

I am thinking about now I should simply say amen and have it all done because what you said was really great. I have in many times, like yourself, been on both sides of the table. All I can say about that is as far as my religion goes, I don't feel any more or less because of it, just feeling that I am so blessed for being lucky enough to have what I have and know what I have and having my savior be my best friend. Thanks for making me think about things for a minute. Kumbaya Chels.

Kateka said...

Love the post. Love you. You are gorgeous darling.

_Calculated crystals, kept here for reference_
First-principles (PBE-GGA) data for a geometry-optimized MgH10CO8 structure, as listed in Materials Project.

Properties
The formation energy is -31.227 eV per formula unit. The space group is P2_1/c (14). The calculation puts the total energy at -110.07 eV/f.u.

a b c (Å): 7.2931 7.6799 12.6418
angles (deg): 90.00 101.45 90.00
Last column: nearest neighbours and their distance in Å.
Fractional coordinates of all 80 atoms:
Mg 0.0000 0.0000 0.0000  6 O 2.04-2.14
Mg 0.0000 0.5000 0.5000  6 O 2.04-2.14
Mg 0.5000 0.0000 0.5000  6 O 2.10-2.12
Mg 0.5000 0.5000 0.0000  6 O 2.10-2.12
H 0.0344 0.1697 0.1908  1 O 1.00
H 0.0344 0.3303 0.6908  1 O 1.00
H 0.0921 0.6595 0.0589  1 O 0.99
H 0.0921 0.8405 0.5589  1 O 0.99
H 0.0960 0.0004 0.8046  1 O 0.99
H 0.0960 0.4996 0.3046  1 O 0.99
H 0.1190 0.2001 0.4236  1 O 1.00
H 0.1190 0.2999 0.9236  1 O 1.00
H 0.2597 0.0591 0.6416  1 O 1.01
H 0.2597 0.4409 0.1416  1 O 1.01
H 0.2968 0.7196 0.3983  1 O 0.99
H 0.2968 0.7804 0.8983  1 O 0.99
H 0.3569 0.5748 0.6158  1 O 0.99
H 0.3569 0.9252 0.1158  1 O 0.99
H 0.3608 0.6285 0.1443  1 O 1.03
H 0.3608 0.8715 0.6443  1 O 1.03
H 0.3747 0.1056 0.0586  1 O 0.99
H 0.3747 0.3944 0.5586  1 O 0.99
H 0.4414 0.7128 0.8276  1 O 1.01
H 0.4414 0.7872 0.3276  1 O 1.01
H 0.5586 0.2128 0.6724  1 O 1.01
H 0.5586 0.2872 0.1724  1 O 1.01
H 0.6253 0.6056 0.4414  1 O 0.99
H 0.6253 0.8944 0.9414  1 O 0.99
H 0.6392 0.1285 0.3557  1 O 1.03
H 0.6392 0.3715 0.8557  1 O 1.03
H 0.6431 0.0748 0.8842  1 O 0.99
H 0.6431 0.4252 0.3842  1 O 0.99
H 0.7032 0.2196 0.1017  1 O 0.99
H 0.7032 0.2804 0.6017  1 O 0.99
H 0.7403 0.5591 0.8584  1 O 1.01
H 0.7403 0.9409 0.3584  1 O 1.01
H 0.8810 0.7001 0.0764  1 O 1.00
H 0.8810 0.7999 0.5764  1 O 1.00
H 0.9040 0.9996 0.1954  1 O 0.99
H 0.9040 0.5004 0.6954  1 O 0.99
H 0.9079 0.1595 0.4411  1 O 0.99
H 0.9079 0.3405 0.9411  1 O 0.99
H 0.9656 0.6697 0.3092  1 O 1.00
H 0.9656 0.8303 0.8092  1 O 1.00
C 0.3471 0.2485 0.8079  3 O 1.29-1.31
C 0.3471 0.2515 0.3079  3 O 1.29-1.31
C 0.6529 0.7485 0.6921  3 O 1.29-1.31
C 0.6529 0.7515 0.1921  3 O 1.29-1.31
O 0.0101 0.2474 0.4522  2 H 0.99-1.00
O 0.0101 0.2526 0.9522  2 H 0.99-1.00
O 0.0645 0.5930 0.3521  2 H 0.99-1.00
O 0.0645 0.9070 0.8521  2 H 0.99-1.00
O 0.2082 0.1801 0.7407  1 C 1.30
O 0.2082 0.3199 0.2407  1 C 1.30
O 0.2880 0.0081 0.0618  2 H 0.99
O 0.2880 0.4919 0.5618  2 H 0.99
O 0.2930 0.5354 0.0928  2 H 1.01-1.03
_Here the article continues_

SydneG said...

Atta girl....atta girl.

Melissa Henriksen said...

Girl, you're my favorite!